Putting the success in succession

If your senior information technology executives leave for another job or retirement, do you know who will take their place?

If your senior information technology executives leave for another job or

retirement, do you know who will take their place?

Despite today's competitive job market and the daunting news that thousands

of senior managers could retire from government in the next few years, most

agencies still do not have a formal, comprehensive succession plan in place.

A recent survey of the Senior Executive Service showed that about 73

percent of career employees and 60 percent of noncareer employees said that

their agencies had no formal succession planning program for managers. In

the same survey, about 53 percent of career employees and 44 percent of

noncareer employees said that their agencies had no formal SES succession


"We ought to be concerned about this, given the large number of those eligible

• These molecular data were left in the entry by mistake:
********
Entry from OMol25: a 2-piece molecular cluster, CHIO4 overall at a distorted geometry (wB97M-V/def2-TZVPD).

Each line ends with the natural charge from an NBO analysis.
Cartesian coordinates (Å):
C1 -0.055 -0.941 -0.067  1.06
O1 -0.095 -2.092 -0.254  -0.43
O2 0.199 0.326 2.138  -0.38
O3 0.026 0.110 0.569  -0.31
O4 -0.859 0.237 -1.651  -0.88
I1 0.453 0.998 -2.745  0.45
H1 0.332 1.361 2.010  0.49

The energy relative to the best compared isomer or geometry (same formula, charge and spin) is 99.3 kcal/mol. As for the LUMO energy (spin up / spin down): -2.83 / -2.83 eV. The multiplicity is 1. The gap between HOMO and LUMO (spin up / spin down) comes out at 0.2150 / 0.2150 Ha. The calculated total energy is -637.1062 hartree.

----------

No. 1
{"formula": "C5H10NS", "method": "ωB97M-V/def2-TZVPD", "total_charge": 1, "lumo_ev": -5.033, "gap_ev": 8.85, "de_lowest_ev": 4.217, "e_tot_ha": -649.0704, "homo_energy_ev": -13.88, "elements": ["C", "C", "C", "C", "C", "N", "S", "H", "H", "H", "H", "H", "H", "H", "H", "H", "H"], "xyz": [[-0.0926, -2.6808, 1.1562], [-0.4389, -3.1703, 0.1324], [-0.2655, 1.4162, 0.6530], [1.1752, 1.6825, 0.5521], [-0.2355, 0.2584, -1.4612], [-0.7038, 0.1951, -0.0362], [-1.3621, 2.3935, 1.3418], [0.3057, -2.1955, 1.9331], [-0.9319, -3.5521, -0.7035], [1.8645, 0.8352, 0.1891], [1.5965, 1.9617, 1.4356], [1.4688, 2.5438, -0.1019], [-0.7967, -0.4858, -2.0853], [-0.4854, 1.3019, -1.7444], [0.9098, 0.0440, -1.4601], [-0.3144, -0.6991, 0.2225], [-1.6940, 0.1513, -0.0231]], "atomic_forces_ev_per_a": [[-0.4, -0.6, -1.6], [-0.6, 0.1, -0.3], [-0.7, 1.1, 1.0], [1.9, -1.1, -3.2], [1.0, 0.2, -1.1], [1.0, 0.2, -1.4], [0.7, -1.1, -0.6], [1.2, 1.2, 2.8], [-0.2, -0.6, -0.9], [-1.4, 0.9, 0.5], [0.7, 0.8, 2.9], [-0.8, -0.6, 0.2], [0.6, 0.7, 0.7], [0.5, -0.8, -0.5], [-2.3, 0.5, -0.3], [0.1, -0.8, 1.4], [-1.4, -0.1, 0.3]], "mulliken_charge": [-0.528, -0.280, 0.293, -1.065, -0.888, 0.218, -0.088, 0.485, 0.440, 0.274, 0.392, 0.323, 0.362, 0.390, 0.352, -0.061, 0.380]}

No. 2
********
• End of the molecular data:

to retire in the not too distant future," said Carol Bonosaro, president

of the Senior Executives Association, which sponsored the survey in cooperation

with the Office of Personnel Management.

In fact, a General Accounting Office report released last month said

that retirement trends in government underscore the importance of succession

planning. GAO found that of the 6,000 career SES members employed in September

1998, about 71 percent of them will be eligible to retire at the end of

fiscal 2005.

The SES retirements could be significant because they "will result in

a loss in leadership continuity, institutional knowledge and expertise among

the SES corps," the GAO report said. Succession planning will help agencies

ensure that they have prepared and qualified people ready to fill those

senior positions, it said.

GAO last year issued a checklist to help agencies address work force

issues such as succession planning. "It's an issue that has continually

come up: that agencies do not have well-developed work force plans," said

Michael Brostek, associate director of federal management and work force

issues at GAO's general government division. "I think agencies are turning

their attention to that because the work force is aging."

In its response to the report, OPM agreed that agencies should focus

more on executive succession planning, but it also indicated that progress

has been made. It said 16 agencies and departments have SES Candidate Development

Programs that address part of the succession planning process, including

assessing candidates' developmental needs and identifying recruitment sources.

OPM also is developing a work force planning model and computer system that

will help agencies fill executive job openings.

The news may not be all bad. "The only case I can see where agencies

don't have to worry is because of the downsizing that's occurred in the

SES," Bonosaro said. "The feeling is there will be plenty of folks who are

ready to apply for and be considered for positions in SES."

In some cases, however, the downsizing has meant that fewer middle

managers are getting the executive experience they need to move up the ladder.

In at least one agency, some executives are taking different assignments

for a few months so that those in the middle ranks can get some executive

experience, Bonosaro said.

"That's the other side of the coin," she said. "It would behoove agencies

to do succession planning lest they find themselves in a situation where

you have [senior executives] who are ready but perhaps" not able to take

over, she said. Agencies "ought to be anticipating: "What kind of talent

do I have coming up the pipeline?'"